Request >
Please write out all of the listing underneath exactly.
Source >
1.
Er3In5 | r2SCAN | relaxed

Properties
As for the formation energy from the elements: -0.56 eV/atom. The magnetic moment is 0.00 Bohr magnetons per cell.

Cell lengths 9.745, 7.991, 10.285 Å; angles 90.00, 90.00, 90.00 degrees
Space group Cmcm (No. 63)
Asymmetric unit:
1 Er 0.000 0.120 0.250 x4
2 Er 0.204 0.500 0.000 x8
3 In 0.000 0.192 0.544 x8
4 In 0.000 0.494 0.750 x4
5 In 0.218 0.208 0.750 x8

2.
Er3In | r2SCAN | relaxed

Properties
As for the formation energy from the elements: -0.33 eV/atom. The magnetic moment is 1.30 Bohr magnetons per cell.

Cell lengths 4.780, 4.780, 4.780 Å; angles 90.00, 90.00, 90.00 degrees
Space group Pm-3m (No. 221)
Asymmetric unit:
1 Er 0.000 0.000 0.500 x3
2 In 0.500 0.500 0.500 x1

3.
Er4InIr | r2SCAN | relaxed

Properties
As for the formation energy from the elements: -0.70 eV/atom. The magnetic moment is 2.27 Bohr magnetons per cell.

Cell lengths 13.474, 13.474, 13.474 Å; angles 90.00, 90.00, 90.00 degrees
Space group F-43m (No. 216)
Asymmetric unit:
1 Er 0.000 0.000 0.191 x24
2 Er 0.058 0.250 0.250 x24
3 Er 0.099 0.099 0.599 x16
4 In 0.167 0.167 0.833 x16
5 Ir 0.109 0.109 0.391 x16

4.
LaErIn2 | r2SCAN | relaxed

Properties
As for the formation energy from the elements: -0.59 eV/atom. The magnetic moment is 0.01 Bohr magnetons per cell.

Cell lengths 7.673, 7.673, 7.673 Å; angles 90.00, 90.00, 90.00 degrees
Space group Fm-3m (No. 225)
Asymmetric unit:
1 La 0.000 0.000 0.000 x4
2 Er 0.000 0.000 0.500 x4
3 In 0.250 0.250 0.250 x8

5.
LiErIn2 | r2SCAN | relaxed

Properties
As for the formation energy from the elements: -0.47 eV/atom. The magnetic moment is 0.00 Bohr magnetons per cell.

Cell lengths 7.172, 7.172, 7.172 Å; angles 90.00, 90.00, 90.00 degrees
Space group Fm-3m (No. 225)
Asymmetric unit:
1 Li 0.000 0.000 0.000 x4
2 Er 0.000 0.000 0.500 x4
3 In 0.250 0.250 0.250 x8

6.
ErMgIn | r2SCAN | relaxed

Properties
As for the formation energy from the elements: -0.47 eV/atom. The magnetic moment is 0.00 Bohr magnetons per cell.

Cell lengths 7.4381, 7.4381, 4.6318 Å; angles 90.00, 90.00, 120.00 degrees
Space group P-62m (No. 189)
Asymmetric unit:
1 Er 0.0000 0.5640 0.0000 x3
2 Mg 0.0000 0.2417 0.5000 x3
3 In 0.0000 0.0000 0.0000 x1
4 In 0.3333 0.6667 0.5000 x2

=====

(1)
The following is a DFT calculation (GGA+U) of a relaxed MnB10H26O8 crystal.

abc: 6.905 7.481 18.710
angles: 80.35 79.37 62.52
Atoms (fractional coordinates):
O 0.136 0.611 0.585
O 0.191 0.238 0.547
O 0.024 0.738 0.047
O 0.673 0.174 0.508
O 0.809 0.762 0.453
O 0.332 0.889 0.915
O 0.668 0.111 0.085
O 0.864 0.389 0.415
O 0.645 0.674 0.008
O 0.604 0.848 0.610
O 0.976 0.262 0.953
O 0.327 0.826 0.492
O 0.938 0.348 0.110
O 0.062 0.652 0.890
O 0.355 0.326 0.992
O 0.396 0.152 0.390
H 0.638 0.465 0.595
H 0.397 0.927 0.867
H 0.088 0.204 0.583
H 0.259 0.753 0.530
H 0.966 0.029 0.645
H 0.459 0.253 0.030
H 0.716 0.868 0.762
H 0.641 0.471 0.855
H 0.034 0.971 0.355
H 0.143 0.562 0.850
H 0.264 0.807 0.905
H 0.054 0.225 0.132
H 0.809 0.427 0.367
H 0.090 0.545 0.289
H 0.541 0.747 0.970
H 0.330 0.783 0.445
H 0.402 0.206 0.673
H 0.910 0.455 0.711
H 0.912 0.796 0.417
H 0.598 0.794 0.327
H 0.654 0.368 0.262
H 0.284 0.132 0.238
H 0.857 0.438 0.150
H 0.874 0.296 0.917
H 0.442 0.283 0.945
H 0.191 0.573 0.633
H 0.302 0.965 0.095
H 0.282 0.294 0.827
H 0.177 0.368 0.559
H 0.698 0.035 0.905
H 0.362 0.535 0.405
H 0.077 0.045 0.789
H 0.718 0.706 0.173
H 0.024 0.307 0.405
H 0.346 0.632 0.738
H 0.556 0.938 0.650
H 0.603 0.073 0.133
H 0.976 0.693 0.595
H 0.444 0.062 0.350
H 0.589 0.725 0.632
H 0.823 0.632 0.441
H 0.558 0.717 0.055
H 0.104 0.132 0.941
H 0.946 0.775 0.868
H 0.411 0.275 0.368
H 0.736 0.193 0.095
H 0.359 0.529 0.145
H 0.741 0.247 0.470
H 0.670 0.217 0.555
H 0.923 0.955 0.211
H 0.896 0.868 0.059
H 0.126 0.704 0.083
B 0.536 0.736 0.202
B 0.505 0.536 0.263
B 0.313 0.881 0.156
B 0.204 0.630 0.278
B 0.526 0.236 0.702
B 0.796 0.370 0.722
B 0.474 0.764 0.298
B 0.650 0.381 0.656
B 0.495 0.464 0.737
B 0.344 0.643 0.187
B 0.350 0.619 0.344
Outcome >
1.
Er3In5 | r2SCAN | relaxed

Properties
As for the formation energy from the elements: -0.56 eV/atom. The magnetic moment is 0.00 Bohr magnetons per cell.

Cell lengths 9.745, 7.991, 10.285 Å; angles 90.00, 90.00, 90.00 degrees
Space group Cmcm (No. 63)
Asymmetric unit:
1 Er 0.000 0.120 0.250 x4
2 Er 0.204 0.500 0.000 x8
3 In 0.000 0.192 0.544 x8
4 In 0.000 0.494 0.750 x4
5 In 0.218 0.208 0.750 x8

2.
Er3In | r2SCAN | relaxed

Properties
As for the formation energy from the elements: -0.33 eV/atom. The magnetic moment is 1.30 Bohr magnetons per cell.

Cell lengths 4.780, 4.780, 4.780 Å; angles 90.00, 90.00, 90.00 degrees
Space group Pm-3m (No. 221)
Asymmetric unit:
1 Er 0.000 0.000 0.500 x3
2 In 0.500 0.500 0.500 x1

3.
Er4InIr | r2SCAN | relaxed

Properties
As for the formation energy from the elements: -0.70 eV/atom. The magnetic moment is 2.27 Bohr magnetons per cell.

Cell lengths 13.474, 13.474, 13.474 Å; angles 90.00, 90.00, 90.00 degrees
Space group F-43m (No. 216)
Asymmetric unit:
1 Er 0.000 0.000 0.191 x24
2 Er 0.058 0.250 0.250 x24
3 Er 0.099 0.099 0.599 x16
4 In 0.167 0.167 0.833 x16
5 Ir 0.109 0.109 0.391 x16

4.
LaErIn2 | r2SCAN | relaxed

Properties
As for the formation energy from the elements: -0.59 eV/atom. The magnetic moment is 0.01 Bohr magnetons per cell.

Cell lengths 7.673, 7.673, 7.673 Å; angles 90.00, 90.00, 90.00 degrees
Space group Fm-3m (No. 225)
Asymmetric unit:
1 La 0.000 0.000 0.000 x4
2 Er 0.000 0.000 0.500 x4
3 In 0.250 0.250 0.250 x8

5.
LiErIn2 | r2SCAN | relaxed

Properties
As for the formation energy from the elements: -0.47 eV/atom. The magnetic moment is 0.00 Bohr magnetons per cell.

Cell lengths 7.172, 7.172, 7.172 Å; angles 90.00, 90.00, 90.00 degrees
Space group Fm-3m (No. 225)
Asymmetric unit:
1 Li 0.000 0.000 0.000 x4
2 Er 0.000 0.000 0.500 x4
3 In 0.250 0.250 0.250 x8

6.
ErMgIn | r2SCAN | relaxed

Properties
As for the formation energy from the elements: -0.47 eV/atom. The magnetic moment is 0.00 Bohr magnetons per cell.

Cell lengths 7.4381, 7.4381, 4.6318 Å; angles 90.00, 90.00, 120.00 degrees
Space group P-62m (No. 189)
Asymmetric unit:
1 Er 0.0000 0.5640 0.0000 x3
2 Mg 0.0000 0.2417 0.5000 x3
3 In 0.0000 0.0000 0.0000 x1
4 In 0.3333 0.6667 0.5000 x2

=====

(1)
The following is a DFT calculation (GGA+U) of a relaxed MnB10H26O8 crystal.

abc: 6.905 7.481 18.710
angles: 80.35 79.37 62.52
Atoms (fractional coordinates):
O 0.136 0.611 0.585
O 0.191 0.238 0.547
O 0.024 0.738 0.047
O 0.673 0.174 0.508
O 0.809 0.762 0.453
O 0.332 0.889 0.915
O 0.668 0.111 0.085
O 0.864 0.389 0.415
O 0.645 0.674 0.008
O 0.604 0.848 0.610
O 0.976 0.262 0.953
O 0.327 0.826 0.492
O 0.938 0.348 0.110
O 0.062 0.652 0.890
O 0.355 0.326 0.992
O 0.396 0.152 0.390
H 0.638 0.465 0.595
H 0.397 0.927 0.867
H 0.088 0.204 0.583
H 0.259 0.753 0.530
H 0.966 0.029 0.645
H 0.459 0.253 0.030
H 0.716 0.868 0.762
H 0.641 0.471 0.855
H 0.034 0.971 0.355
H 0.143 0.562 0.850
H 0.264 0.807 0.905
H 0.054 0.225 0.132
H 0.809 0.427 0.367
H 0.090 0.545 0.289
H 0.541 0.747 0.970
H 0.330 0.783 0.445
H 0.402 0.206 0.673
H 0.910 0.455 0.711
H 0.912 0.796 0.417
H 0.598 0.794 0.327
H 0.654 0.368 0.262
H 0.284 0.132 0.238
H 0.857 0.438 0.150
H 0.874 0.296 0.917
H 0.442 0.283 0.945
H 0.191 0.573 0.633
H 0.302 0.965 0.095
H 0.282 0.294 0.827
H 0.177 0.368 0.559
H 0.698 0.035 0.905
H 0.362 0.535 0.405
H 0.077 0.045 0.789
H 0.718 0.706 0.173
H 0.024 0.307 0.405
H 0.346 0.632 0.738
H 0.556 0.938 0.650
H 0.603 0.073 0.133
H 0.976 0.693 0.595
H 0.444 0.062 0.350
H 0.589 0.725 0.632
H 0.823 0.632 0.441
H 0.558 0.717 0.055
H 0.104 0.132 0.941
H 0.946 0.775 0.868
H 0.411 0.275 0.368
H 0.736 0.193 0.095
H 0.359 0.529 0.145
H 0.741 0.247 0.470
H 0.670 0.217 0.555
H 0.923 0.955 0.211
H 0.896 0.868 0.059
H 0.126 0.704 0.083
B 0.536 0.736 0.202
B 0.505 0.536 0.263
B 0.313 0.881 0.156
B 0.204 0.630 0.278
B 0.526 0.236 0.702
B 0.796 0.370 0.722
B 0.474 0.764 0.298
B 0.650 0.381 0.656
B 0.495 0.464 0.737
B 0.344 0.643 0.187
B 0.350 0.619 0.344